20 weeks / Half way there

We have had our 20 week ultrasound exam. Unfortunately our child did not cooperate and we will have to come back next week to finish the exam but we have pictures from our last exam to share with you.  We are now officially half way there to the birth of our child. This pregnancy has not been the easiest but we are thankful for our healthy baby.Strong heart beat
Tati has been doing much better the past week or so and we are very thankful for all of the prayers. Our baby is also doing well as Tati enjoys feeling our child moving inside of her almost every day.Bleeding shown in our previous exam but not present yesterday
We are waiting for the day that I can definitively feel our child moving. I have felt some movement but not been sure if it is Tati breathing or something else.What a nice shaped head
Each week and day is so very exciting for us. Tati has experienced days when she is completely uncomfortable due to our baby moving in her womb.

House keeping

Well I have to admit that my wife is awesome at keeping the house clean. Ever since we got married she has been doing a rocking job at cleaning.

Breakfast while relaxing

However that changed a few weeks ago when she was put on full and complete bed rest. Tati is allowed to do three things: relax in bed, relax on the couch and go to the bathroom. She has not had to cook, clean or do laundry in the last few weeks.

Tati relaxing in bed

This means that the responsibility falls on me. Cleaning the floors, bathroom, dishes, and our clothes. I am also responsible for making the bed and cooking every day.

Dishes to wash for me

Sítio da Esperança Wood Projects (Part 2)

The projects are coming along for me at the Sítio. I have been really enjoying the work and have especially enjoyed the company of another missionary named Dave. Dave worked as a wood worker for years and I have enjoyed learning from him.

Partially Finished table

We first built three pedestals to hold the main table up. These pedestals were difficult to build as the rough cut wood was not an even thickness and I didn’t purchase long enough screws. Eventually we got them built and began to mount the main table top.

Dave clearing some dust

The rough cut wood has some great live edges but it also means that we needed to sand the tops of each shelf and the top of the table. These tops have two main problems 1) they are not level and 2) they are riddled with termite holes in parts. We decided to use epoxy to fill in the holes and strengthen those parts of the table.

Roughly finished wood table

Sítio da Esperança Wood Projects (Part 1)

A month ago I was asked to look at some wood that they had and envision different applications for the wood based on what was needed. The Sítio da Esperança is a retreat center that ABWE started in Lomba Grande to serve the local churches. At the Sítio they have two main focus: 1) Service as a gathering place for church events that can’t happen at their church property. 2) To start a church plant in Lomba Grande. We are working at the Sítio right now due to the restrictions which are allowing for property improvements to be made.

Stacks of Rough Cut Wood

I was asked to build a large table, small circular coffee table, a barn door, and a narrow coffee table. There are also 4 gazebos, many benches, and sealing up one room. There is also a couple of other odd projects like shelving and decorative pieces.

How about a Barn door?

I absolutely love the idea of looking at a piece of wood and seeing what it could be. The general guidelines are awesome to have but also the freedom to build anything is fun. I have been enjoying the building of these projects.

Opening Up the Stacks of Rough Cut Lumber

Split Pea Soup

These molecular data were left in the entry by mistake =
-- begin --
{
  "formula": "C50H63ClN12OP",
  "method": "ωB97M-V/def2-TZVPD",
  "lumo_energy_ev": -5.39,
  "spin_multiplicity": 1,
  "total_charge": 1,
  "e_tot_ha": -3476.25233,
  "e_homo_ev": -9.1,
  "e_above_lowest_kj_mol": 882.5,
  "species": ["H", "H", "C", "C", "H", "H", "C", "H", "C", "C", "C", "N", "H", "H", "H", "C", "H", "H", "H", "C", "C", "O", "N", "H", "H", "C", "C", "C", "C", "H", "H", "C", "H", "C", "C", "H", "H", "H", "H", "H", "C", "C", "C", "H", "H", "N", "N", "H", "C", "H", "C", "N", "C", "H", "H", "P", "H", "C", "C", "H", "H", "H", "H", "N", "N", "N", "H", "H", "N", "C", "H", "H", "H", "C", "C", "C", "N", "H", "H", "C", "C", "H", "H", "H", "H", "H", "C", "C", "Cl", "C", "C", "H", "H", "H", "H", "C", "C", "H", "C", "C", "C", "H", "H", "H", "C", "N", "C", "H", "H", "H", "H", "C", "C", "H", "H", "C", "H", "N", "H", "H", "C", "C", "H", "H", "C", "C", "C", "C"],
-- stop --

It has been cold and we have been looking for healthy things to eat for Tati. I offered to make Split Pea Soup. It turned out very good. I look forward to the next batch and we will see if I can make it even better.

Everything into the Crock Pot

I made everything and put it in the crock pot to cook.

With the Pork Cut Up

After cooking everything I cut up the pork shoulder into bite size pieces and let it cook a little more. We ate the Split Pea Soup for the next couple of days and it was always great.

Served with buttered bread

Life Center: Bible Studies

Every Thursday this year we will be having a bible study at the Life Center in Dois Irmãos. This gives us an opportunity to meet together with people from the community and to open the word of God with them.

Bible Study before the coronavirus

We have been studying the story of Hope. We have had a great group who has been getting together. Unfortunately things have changed due to the coronavirus and we have not been able to reconnect as a large group. We have had a few weeks that we were able to return to our study but that has been stopped due to the tightening of restrictions.

Bible Study during the Coronavirus

Praying for One Another

I enjoyed the time that we had a couple of weeks ago when we got together as a missions team to pray for one of our own.

Cal Sharing with Us

Cal shared with us that he has pancreatic cancer and what the doctor has told him about the treatment options. We are all very sad to hear about the diagnosis but thankful that it has not spread.

Praying for Cal

We then were each able to pray for Cal and Carol. I am very thankful for our field team that is able to gather together and pray. I was very thankful that we have many people who pray better than me. I was very thankful that they remembered all of the requests even when I forgot some.

Praying for Cal

As big as a… (Part 2)

A s the weeks have been going by we have hit the 4 month mark in the pregnancy.  Each week we have been taking a picture of Tati with the baby bump and a picture with the fruit or vegetable that represents the size of our child.Week 11: A Fig
Each week as we have been taking these pictures it has been so exciting to read about what is developing in the baby and it’s size. Recently Tati has been feeling the baby move lots and now our baby is able to hear our voices. Week 15: An Orange

Celebrating the 4th of July

This past Saturday we celebrated the 4th of July with a couple of other missionaries.

All American Chicken Wings

We were able to grill some chicken wings. We made 3 flavors of chicken wings (BBQ, sweet chili and Buffalo). They were all great and we had them with cole slaw and banana bread muffins.

Chicken Wings and Cole Slaw with banana bread muffins

Erin made a great apple pie while Megan mad awesome banana bread muffins. I am so thankful that we could get together and spend a lazy afternoon together hanging out and enjoying each other’s company.

All American Apple Pie